privacy policy

This privacy policy of personal (personal) data (hereinafter referred to as the “Policy”) applies to all data that Security Concern "Rodina" (hereinafter referred to as the “Operator”) can receive from the site visitor (hereinafter referred to as “ The subject of personal data ") and process in the process of any interactions with the subject of personal data.

Any use of any resources of the Operator means the full and unconditional consent of the Personal Data Subject to the terms of the Policy and the procedures for processing its personal data established in it. In case of disagreement with the terms of the Policy, the Subject of personal data should refrain from using the resources of the Operator.

1. Processing of personal data of the Personal Data Subject.

1.1. In the framework of this Policy, the "personal data of the Personal Data Subject" refers to:

1.a. Any information relating directly or indirectly to a specific or designated individual.

1.b. Personal data that the Personal Data Entity provides about itself independently in the process of using the resources of the Operator. Any technical data allowing to determine the Personal Data Subject, as well as the characteristics, routes and addresses of the devices from which the Subject has made the personal data of the Operator’s resources (IP address, browser type, cookies, date and time of the visit, etc.), if such data is accumulated by certain services of the Operator.

1.g. Any other information about the Subject of personal data, the processing of which is provided for by the terms of this Policy, as well as by federal law of 27.07.2006 N 152-FZ (as amended on 02.22.2017) “On personal data”.

1.2. The operator does not verify the personal data for the accuracy provided by the Personal Data Subject, nor does it evaluate it. The operator will automatically consider all received personal data from the Personal Data Subject to be reliable. The responsibility for the accuracy of personal data lies with the Personal Data Subject.

2. The objectives of collecting, storing and using personal data of the Personal Data Subject.

2.1. The Operator collects and stores only those personal data that is necessary for the implementation of the Operator’s activities and the operation of its service, with the exception of longer storage of personal data in cases provided for by applicable law.

2.2. Personal data is collected and stored by the Operator for the following purposes:

2.2.a. To obtain contact information for the purpose of establishing legal relations with potential counterparties (identification, feedback, sending requests, notifications, information, etc.);

2.2.b. In order to improve the quality of the Operator’s service; For statistical and other marketing research through the use of personal data obtained in anonymous form.

2.2.d. For other purposes not prohibited by applicable law, contributing to the qualitative improvement of the Operator’s activities.

3. Conditions for processing personal data of the Personal Data Subject.

3.1. The processing of personal data is carried out in compliance with the principles and rules stipulated by this Privacy Policy and federal law of July 27, 2006 N 152-ФЗ (as amended on February 22, 2017) “On Personal Data”.

3.2. The Operator shall store the personal data of the Personal Data Subject in accordance with the rules of this Privacy Policy and regulatory legislation.

3.3. With respect to the personal data of the Personal Data Subject, its confidentiality is preserved, except for the cases when the Personal Data Subject voluntarily provides information about itself for general access to an unlimited number of persons.

3.3. Cases in which the Operator has the right to provide personal data of the Personal Data Subject to third parties:

3.3.a. With the direct consent of the Personal Data Subject to such actions;

3.3.b. If there are legitimate requests from authorized representatives of state power;

3.3.v. In cases where the provision of personal data is implied by the very essence of the relationship for which such data was provided by the Personal Data Subject;

3.3.g. In other cases permitted by law.

4. Modification and deletion of personal data. Mandatory storage of personal data.

4.1. The personal data subject has the right to change the personal data provided about himself at any time, if the specific service of the Operator functionally provides for such a possibility.

4.2. The Operator is obliged to keep all the data provided by the Personal Data Subject in the light of the changes made, including those originally submitted, if such an obligation is imposed on the Operator at the legislative level.

5.1. The operator will take all necessary and sufficient measures to prevent / obstruct access to the personal data of the Personal Data Subject, as well as take measures to protect data from unlawful destruction, copying, alteration, dissemination, etc.

[What comes next are crystal structures, not part of the entry]
- - -
Entry 1:
Computed X-ray powder pattern of TmPa2Tc2 for Cu Kα X-rays, from a cell relaxed with GGA-PBE.

Top 8 peaks for 10 to 90 degrees two-theta, by intensity:
2θ (°)	I (rel.)	hkl
36.4	100	1 1 -3
34.2	33	0 2 0
62.7	21	1 3 -3
38.3	16	0 0 5
52.2	13	0 2 5
28.4	12	0 1 3
64.3	11	2 2 -1
52.7	10	2 0 -1

Crystal structure
```
data_TmPa2Tc2
_cell_length_a 3.474
_cell_length_b 5.248
_cell_length_c 11.893
_cell_angle_alpha 90.00
_cell_angle_beta 98.42
_cell_angle_gamma 90.00
_symmetry_space_group_name_H-M 'P 1 21/m 1'
_symmetry_Int_Tables_number 11
loop_
_symmetry_equiv_pos_as_xyz
'x,y,z'
'-x,-y,-z'
'-x,y+1/2,-z'
'x,-y+1/2,z'
loop_
_atom_site_label
_atom_site_fract_x
_atom_site_fract_y
_atom_site_fract_z
_atom_site_occupancy
Tm1 0.143 0.250 0.284 1
Pa1 0.050 0.750 0.100 1
Pa2 0.234 0.750 0.471 1
Tc1 0.358 0.250 0.716 1
Tc2 0.462 0.750 0.923 1
```

***

Entry 2:
Computed X-ray powder pattern of U2Pa3Tc7 for Cu Kα X-rays, from a cell relaxed with GGA-PBE.

Top 8 peaks for 10 to 90 degrees two-theta, by intensity:
2θ (°)	I (rel.)	hkl
38.6	100	1 1 6
31.1	58	1 1 0
60.4	28	3 0 6
64.8	23	2 2 0
45.4	19	0 0 12
36.3	18	0 2 1
82.7	15	2 2 12
40.8	13	2 0 5

Crystal structure
```
data_U2Pa3Tc7
_cell_length_a 5.7531
_cell_length_b 5.7531
_cell_length_c 23.9616
_cell_angle_alpha 90.00
_cell_angle_beta 90.00
_cell_angle_gamma 120.00
_symmetry_space_group_name_H-M 'R -3 m'
_symmetry_Int_Tables_number 166
_symmetry_space_group_name_Hall '-R 3 2"'
loop_
_atom_site_label
_atom_site_fract_x
_atom_site_fract_y
_atom_site_fract_z
_atom_site_occupancy
U1 0.0000 0.0000 0.1657 1
Pa1 0.0000 0.0000 0.3569 1
Pa2 0.0000 0.0000 0.5000 1
Tc1 0.0000 0.0000 0.0000 1
Tc2 0.0034 0.5017 0.4166 1
```

----------

Diffraction record for K2NaF4. The X-ray powder pattern is computed, not measured: it uses a crystal structure in Alexandria, relaxed with PBE and Cu Kα X-rays.
Neutral-atom scattering factors, no anomalous dispersion.

Most intense lines, 10 to 90 degrees two-theta, in order of rising 2θ:
- 2θ = 13.1°, rel. 294
- 2θ = 28.5°, rel. 493
- 2θ = 29.0°, rel. 960
- 2θ = 31.9°, rel. 307
- 2θ = 39.2°, rel. 494
- 2θ = 39.6°, rel. 805
- 2θ = 40.0°, rel. 304
- 2θ = 41.5°, rel. 1000
- 2θ = 59.0°, rel. 308
- 2θ = 60.1°, rel. 273

Crystal structure
abc: 7.433 7.433 7.433
angles: 145.95 145.95 48.91
Fractional positions:
1 K 0.136 0.136 0.000
2 K 0.864 0.864 0.000
3 Na 0.500 0.500 0.000
4 F 0.000 0.500 0.500
5 F 0.329 0.329 0.000
6 F 0.500 0.000 0.500
7 F 0.671 0.671 0.000

----------

Starting from a cell relaxed with GGA-PBE, the X-ray powder pattern of Nd12SnRh6 was computed for Cu Kα (weighted mean of Kα1 and Kα2).
No peak broadening, texture or thermal motion is included.

Top 6 peaks for 10° ≤ 2θ ≤ 80°, by angle:
d [Å]  I/Imax
3.229  164
2.948  239
2.729  1000
2.003  242
1.751  210
1.657  279

Crystal structure
```
data_Nd12SnRh6
_symmetry_space_group_name_H-M 'P 1'
_symmetry_Int_Tables_number 1
_cell_length_a 8.8439
_cell_length_b 8.8439
_cell_length_c 8.8439
_cell_angle_alpha 109.47
- - -

6. Changes to the Privacy Policy. Applicable law.

6.1. The operator reserves the right to change the revision of this Privacy Policy at any time. In the event of a change in the Privacy Policy revision, the new Policy revision enters into force from the moment it is posted on the Operator's resource. The current edition of the Privacy Policy is available for permanent review on the page at:

6.2. The governing (applicable) legislation in relation to the interaction between the Operator and the Personal Data Subject regarding this Privacy Policy is the legislation of the Russian Federation.